What to do.
Please quote the notes below verbatim.

Contents.
Density functional theory data (GGA-PBE) for an optimized crystal structure of KNa4GeAs3. Values from VASP.

Summary:
- SG: Pnma
- Total energy: -3.184 eV/atom

```
&SYSTEM
  ibrav = 0, nat = 36, ntyp = 4
/
ATOMIC_SPECIES
K 39.10 K.upf
Na 22.99 Na.upf
Ge 72.64 Ge.upf
As 74.92 As.upf
ATOMIC_POSITIONS angstrom
K 1.2059 1.7032 7.8988
K 3.6177 11.5395 7.3951
K 3.6177 8.3245 15.0421
K 1.2059 4.9181 0.2518
Na 1.2059 5.6680 8.5994
Na 3.6177 7.5747 6.6945
Na 3.6177 12.2893 14.3415
Na 1.2059 0.9534 0.9524
Na 1.2059 10.7231 1.2344
Na 3.6177 2.5196 14.0595
Na 3.6177 4.1017 6.4125
Na 1.2059 9.1409 8.8814
Na 1.2059 3.1421 3.9137
Na 3.6177 10.1006 11.3802
Na 3.6177 9.7634 3.7333
Na 1.2059 3.4793 11.5607
Na 1.2059 12.4564 4.3930
Na 3.6177 0.7862 10.9009
Na 3.6177 5.8351 3.2539
Na 1.2059 7.4076 12.0400
Ge 1.2059 7.7383 4.4964
Ge 3.6177 5.5044 10.7975
Ge 3.6177 1.1170 3.1505
Ge 1.2059 12.1257 12.1434
As 1.2059 7.8314 2.1359
As 3.6177 5.4113 13.1580
As 3.6177 1.2101 5.5111
As 1.2059 12.0326 9.7828
As 1.2059 5.6172 5.5946
As 3.6177 7.6255 9.6993
As 3.6177 12.2385 2.0523
As 1.2059 1.0042 13.2416
As 1.2059 9.6957 5.8537
As 3.6177 3.5470 9.4402
As 3.6177 3.0743 1.7932
As 1.2059 10.1683 13.5007
CELL_PARAMETERS angstrom
4.8236 0.0000 0.0000
0.0000 13.2427 0.0000
0.0000 0.0000 15.2939
```

=====

Density functional theory data (GGA-PBE) for an optimized crystal structure of AsP. Values from VASP.

Summary:
- SG: C2/m
- E above lowest polymorph: 0.000 eV/atom

```
&SYSTEM
  ibrav = 0, nat = 4, ntyp = 2
/
ATOMIC_SPECIES
As 74.92 As.upf
P 30.97 P.upf
ATOMIC_POSITIONS angstrom
As -1.1932 2.3102 -1.1576
As -1.5964 5.9832 -0.4775
P -3.7650 5.1866 0.0886
P 0.9753 3.1068 -1.7237
CELL_PARAMETERS angstrom
1.4193 2.2593 -2.2857
-4.1842 0.6985 -1.9078
-0.0247 5.3355 2.5584
```

=====

Density functional theory data (GGA-PBE) for an optimized crystal structure of Cd2Hg2S2O11. Values from VASP.

Summary:
- SG: P2/c
- Total energy: -4.731 eV/atom

```
&SYSTEM
  ibrav = 0, nat = 34, ntyp = 4
/
ATOMIC_SPECIES
Cd 112.41 Cd.upf
Hg 200.59 Hg.upf
S 32.06 S.upf
O 16.00 O.upf
ATOMIC_POSITIONS angstrom
Cd -5.2130 -3.0961 -3.3067
Cd -2.4984 -3.2252 -5.6950
Cd -6.3603 -3.0961 0.4682
Cd -1.3512 -3.2252 -9.4698
Hg -1.9279 -1.7818 -2.2504
Hg -5.7836 -4.5395 -6.7512
Hg -3.8557 0.0000 -4.5008
Hg 0.0000 0.0000 0.0000
S -3.6848 -4.9375 -0.7544
S -4.0267 -1.3839 -8.2473
S -0.1709 -4.9375 -3.7465
S -7.5406 -1.3839 -5.2552
O -3.2514 -1.8912 -3.9039
O -4.4601 -4.4302 -5.0977
O -0.6043 -1.8912 -0.5969
O -7.1072 -4.4302 -8.4048
O -5.7867 -1.8131 -1.4193
O -1.9248 -4.5083 -7.5824
O -2.3967 -4.8526 -0.0030
O -5.3148 -1.4687 -8.9986
O -1.4591 -4.8526 -4.4978
O -6.2524 -1.4687 -4.5038
O -3.6726 -3.8265 -1.7781
O -4.0388 -2.4948 -7.2235
O -0.1831 -3.8265 -2.7227
O -7.5284 -2.4948 -6.2790
O -4.8329 -4.7526 0.1675
O -2.8786 -1.5688 -9.1692
O -6.7404 -4.7526 -3.0060
O -0.9711 -1.5688 -5.9956
O -3.7661 -6.2527 -1.4299
O -3.9454 -0.0687 -7.5718
O -0.0896 -6.2527 -3.0709
O -7.6219 -0.0687 -5.9307
CELL_PARAMETERS angstrom
0.0000 -6.3214 0.0000
-7.7176 0.0000 1.6623
0.0061 0.0000 -10.6640
```

=====

Density functional theory data (GGA-PBE) for an optimized crystal structure of NpGa2. Values from VASP.

Summary:
- SG: P6/mmm
- Total energy: -6.274 eV/atom

```
&SYSTEM
  ibrav = 0, nat = 3, ntyp = 2
/
ATOMIC_SPECIES
Np 237.00 Np.upf
Ga 69.72 Ga.upf
ATOMIC_POSITIONS angstrom
Np 0.0000 0.0000 0.0000
Ga -1.4652 -2.4893 -1.1355
Ga -1.8966 -1.9436 1.5027
CELL_PARAMETERS angstrom
-2.8352 -0.0558 3.7804
-1.5409 -1.6928 -4.1343
1.0143 -2.6843 0.7211
```

=====

Density functional theory data (GGA-PBE) for an optimized crystal structure of AlGaCo2. Values from VASP.

Summary:
- SG: Fm-3m
- Total energy: -5.693 eV/atom

```
&SYSTEM
  ibrav = 0, nat = 4, ntyp = 3
/
ATOMIC_SPECIES
Al 26.98 Al.upf
Ga 69.72 Ga.upf
Co 58.93 Co.upf
ATOMIC_POSITIONS angstrom
Al -3.8256 -0.9962 -3.0120
Ga 0.0000 0.0000 0.0000
Co -5.7384 -1.4942 -4.5180
Co -1.9128 -0.4981 -1.5060
CELL_PARAMETERS angstrom
-1.9486 -2.9283 -2.0236

Reply.
Density functional theory data (GGA-PBE) for an optimized crystal structure of KNa4GeAs3. Values from VASP.

Summary:
- SG: Pnma
- Total energy: -3.184 eV/atom

```
&SYSTEM
  ibrav = 0, nat = 36, ntyp = 4
/
ATOMIC_SPECIES
K 39.10 K.upf
Na 22.99 Na.upf
Ge 72.64 Ge.upf
As 74.92 As.upf
ATOMIC_POSITIONS angstrom
K 1.2059 1.7032 7.8988
K 3.6177 11.5395 7.3951
K 3.6177 8.3245 15.0421
K 1.2059 4.9181 0.2518
Na 1.2059 5.6680 8.5994
Na 3.6177 7.5747 6.6945
Na 3.6177 12.2893 14.3415
Na 1.2059 0.9534 0.9524
Na 1.2059 10.7231 1.2344
Na 3.6177 2.5196 14.0595
Na 3.6177 4.1017 6.4125
Na 1.2059 9.1409 8.8814
Na 1.2059 3.1421 3.9137
Na 3.6177 10.1006 11.3802
Na 3.6177 9.7634 3.7333
Na 1.2059 3.4793 11.5607
Na 1.2059 12.4564 4.3930
Na 3.6177 0.7862 10.9009
Na 3.6177 5.8351 3.2539
Na 1.2059 7.4076 12.0400
Ge 1.2059 7.7383 4.4964
Ge 3.6177 5.5044 10.7975
Ge 3.6177 1.1170 3.1505
Ge 1.2059 12.1257 12.1434
As 1.2059 7.8314 2.1359
As 3.6177 5.4113 13.1580
As 3.6177 1.2101 5.5111
As 1.2059 12.0326 9.7828
As 1.2059 5.6172 5.5946
As 3.6177 7.6255 9.6993
As 3.6177 12.2385 2.0523
As 1.2059 1.0042 13.2416
As 1.2059 9.6957 5.8537
As 3.6177 3.5470 9.4402
As 3.6177 3.0743 1.7932
As 1.2059 10.1683 13.5007
CELL_PARAMETERS angstrom
4.8236 0.0000 0.0000
0.0000 13.2427 0.0000
0.0000 0.0000 15.2939
```

=====

Density functional theory data (GGA-PBE) for an optimized crystal structure of AsP. Values from VASP.

Summary:
- SG: C2/m
- E above lowest polymorph: 0.000 eV/atom

```
&SYSTEM
  ibrav = 0, nat = 4, ntyp = 2
/
ATOMIC_SPECIES
As 74.92 As.upf
P 30.97 P.upf
ATOMIC_POSITIONS angstrom
As -1.1932 2.3102 -1.1576
As -1.5964 5.9832 -0.4775
P -3.7650 5.1866 0.0886
P 0.9753 3.1068 -1.7237
CELL_PARAMETERS angstrom
1.4193 2.2593 -2.2857
-4.1842 0.6985 -1.9078
-0.0247 5.3355 2.5584
```

=====

Density functional theory data (GGA-PBE) for an optimized crystal structure of Cd2Hg2S2O11. Values from VASP.

Summary:
- SG: P2/c
- Total energy: -4.731 eV/atom

```
&SYSTEM
  ibrav = 0, nat = 34, ntyp = 4
/
ATOMIC_SPECIES
Cd 112.41 Cd.upf
Hg 200.59 Hg.upf
S 32.06 S.upf
O 16.00 O.upf
ATOMIC_POSITIONS angstrom
Cd -5.2130 -3.0961 -3.3067
Cd -2.4984 -3.2252 -5.6950
Cd -6.3603 -3.0961 0.4682
Cd -1.3512 -3.2252 -9.4698
Hg -1.9279 -1.7818 -2.2504
Hg -5.7836 -4.5395 -6.7512
Hg -3.8557 0.0000 -4.5008
Hg 0.0000 0.0000 0.0000
S -3.6848 -4.9375 -0.7544
S -4.0267 -1.3839 -8.2473
S -0.1709 -4.9375 -3.7465
S -7.5406 -1.3839 -5.2552
O -3.2514 -1.8912 -3.9039
O -4.4601 -4.4302 -5.0977
O -0.6043 -1.8912 -0.5969
O -7.1072 -4.4302 -8.4048
O -5.7867 -1.8131 -1.4193
O -1.9248 -4.5083 -7.5824
O -2.3967 -4.8526 -0.0030
O -5.3148 -1.4687 -8.9986
O -1.4591 -4.8526 -4.4978
O -6.2524 -1.4687 -4.5038
O -3.6726 -3.8265 -1.7781
O -4.0388 -2.4948 -7.2235
O -0.1831 -3.8265 -2.7227
O -7.5284 -2.4948 -6.2790
O -4.8329 -4.7526 0.1675
O -2.8786 -1.5688 -9.1692
O -6.7404 -4.7526 -3.0060
O -0.9711 -1.5688 -5.9956
O -3.7661 -6.2527 -1.4299
O -3.9454 -0.0687 -7.5718
O -0.0896 -6.2527 -3.0709
O -7.6219 -0.0687 -5.9307
CELL_PARAMETERS angstrom
0.0000 -6.3214 0.0000
-7.7176 0.0000 1.6623
0.0061 0.0000 -10.6640
```

=====

Density functional theory data (GGA-PBE) for an optimized crystal structure of NpGa2. Values from VASP.

Summary:
- SG: P6/mmm
- Total energy: -6.274 eV/atom

```
&SYSTEM
  ibrav = 0, nat = 3, ntyp = 2
/
ATOMIC_SPECIES
Np 237.00 Np.upf
Ga 69.72 Ga.upf
ATOMIC_POSITIONS angstrom
Np 0.0000 0.0000 0.0000
Ga -1.4652 -2.4893 -1.1355
Ga -1.8966 -1.9436 1.5027
CELL_PARAMETERS angstrom
-2.8352 -0.0558 3.7804
-1.5409 -1.6928 -4.1343
1.0143 -2.6843 0.7211
```

=====

Density functional theory data (GGA-PBE) for an optimized crystal structure of AlGaCo2. Values from VASP.

Summary:
- SG: Fm-3m
- Total energy: -5.693 eV/atom

```
&SYSTEM
  ibrav = 0, nat = 4, ntyp = 3
/
ATOMIC_SPECIES
Al 26.98 Al.upf
Ga 69.72 Ga.upf
Co 58.93 Co.upf
ATOMIC_POSITIONS angstrom
Al -3.8256 -0.9962 -3.0120
Ga 0.0000 0.0000 0.0000
Co -5.7384 -1.4942 -4.5180
Co -1.9128 -0.4981 -1.5060
CELL_PARAMETERS angstrom
-1.9486 -2.9283 -2.0236